• To do:
What is needed: repeat all of the entries further below without altering anything.
• Listing:
=====
(1)
{"formula": "C7H14", "method": "wB97M-V/def2-TZVPD", "species": ["C", "C", "C", "C", "C", "C", "C", "H", "H", "H", "H", "H", "H", "H", "H", "H", "H", "H", "H", "H", "H"], "positions_angstrom": [[-0.83151, 1.64469, 0.68449], [-0.52994, 0.23268, 0.15670], [-0.98838, 0.15501, -1.30507], [-1.25111, -0.84906, 0.98761], [0.97440, -0.00337, 0.32377], [2.00054, -0.03317, -0.77238], [1.63207, -1.29753, -0.03879], [-0.58575, 1.72317, 1.75066], [-0.22722, 2.38912, 0.15006], [-1.88762, 1.91364, 0.56140], [-2.06150, 0.37227, -1.37157], [-0.46643, 0.88834, -1.93074], [-0.83415, -0.83940, -1.74122], [-0.66577, -1.77368, 0.96416], [-1.34481, -0.55616, 2.03862], [-2.25096, -1.08148, 0.60580], [1.35085, 0.41726, 1.25575], [1.66963, 0.01600, -1.80578], [2.95536, 0.45480, -0.59557], [2.29930, -1.75580, 0.68530], [1.04298, -2.01732, -0.60321]], "gap_ev": 11.135, "total_energy_ha": -275.08381, "total_charge": 0, "relative_energy_kj_mol": 85.17}

***

(2)
{"formula": "C13H21N2", "method": "wB97M-V/def2-TZVPD", "species": ["C", "C", "C", "N", "C", "C", "C", "C", "C", "N", "C", "C", "C", "C", "C", "H", "H", "H", "H", "H", "H", "H", "H", "H", "H", "H", "H", "H", "H", "H", "H", "H", "H", "H", "H", "H"], "positions_angstrom": [[0.49553, 2.18406, 1.39635], [-0.00672, 1.70196, 0.06721], [-0.58949, 2.89531, -0.68982], [1.14124, 1.17510, -0.67167], [-1.11262, 0.69331, 0.28096], [-2.08054, 1.09328, 1.40555], [-1.52585, 0.01303, -0.99234], [-0.86476, -0.80900, 0.01023], [-1.66152, -1.87854, 0.71044], [0.48342, -1.44522, -0.37729], [1.58945, -1.07179, 0.22248], [2.81804, -1.74360, 0.20086], [2.88068, -2.84078, -0.71673], [1.73644, -3.11948, -1.49966], [0.53954, -2.48013, -1.25669], [1.45037, 2.66329, 1.19435], [0.62161, 1.52266, 2.19918], [-0.17373, 2.92533, 1.88593], [-1.54333, 3.05660, -0.22268], [-0.11452, 3.87622, -0.49329], [-0.77897, 2.69708, -1.69910], [1.83155, 1.94718, -0.85539], [0.84671, 1.01398, -1.61309], [-2.50541, 2.03283, 1.05944], [-1.48879, 1.21464, 2.27718], [-2.88759, 0.46143, 1.67193], [-2.57534, -0.16204, -1.11928], [-0.99698, 0.25341, -1.81267], [-2.81482, -1.73897, 0.44851], [-1.66647, -1.78728, 1.71664], [-1.17840, -2.77291, 0.48092], [1.41212, -0.31699, 1.06793], [3.60195, -1.21865, 0.66840], [3.76867, -3.50019, -0.82296], [1.69406, -3.93611, -2.17135], [-0.34555, -2.59903, -1.95047]], "gap_ev": 8.794, "total_energy_ha": -617.14002, "total_charge": 1, "relative_energy_kj_mol": 348.55}

***

(3)
=====
• Here it is:
(1)
{"formula": "C7H14", "method": "wB97M-V/def2-TZVPD", "species": ["C", "C", "C", "C", "C", "C", "C", "H", "H", "H", "H", "H", "H", "H", "H", "H", "H", "H", "H", "H", "H"], "positions_angstrom": [[-0.83151, 1.64469, 0.68449], [-0.52994, 0.23268, 0.15670], [-0.98838, 0.15501, -1.30507], [-1.25111, -0.84906, 0.98761], [0.97440, -0.00337, 0.32377], [2.00054, -0.03317, -0.77238], [1.63207, -1.29753, -0.03879], [-0.58575, 1.72317, 1.75066], [-0.22722, 2.38912, 0.15006], [-1.88762, 1.91364, 0.56140], [-2.06150, 0.37227, -1.37157], [-0.46643, 0.88834, -1.93074], [-0.83415, -0.83940, -1.74122], [-0.66577, -1.77368, 0.96416], [-1.34481, -0.55616, 2.03862], [-2.25096, -1.08148, 0.60580], [1.35085, 0.41726, 1.25575], [1.66963, 0.01600, -1.80578], [2.95536, 0.45480, -0.59557], [2.29930, -1.75580, 0.68530], [1.04298, -2.01732, -0.60321]], "gap_ev": 11.135, "total_energy_ha": -275.08381, "total_charge": 0, "relative_energy_kj_mol": 85.17}

***

(2)
{"formula": "C13H21N2", "method": "wB97M-V/def2-TZVPD", "species": ["C", "C", "C", "N", "C", "C", "C", "C", "C", "N", "C", "C", "C", "C", "C", "H", "H", "H", "H", "H", "H", "H", "H", "H", "H", "H", "H", "H", "H", "H", "H", "H", "H", "H", "H", "H"], "positions_angstrom": [[0.49553, 2.18406, 1.39635], [-0.00672, 1.70196, 0.06721], [-0.58949, 2.89531, -0.68982], [1.14124, 1.17510, -0.67167], [-1.11262, 0.69331, 0.28096], [-2.08054, 1.09328, 1.40555], [-1.52585, 0.01303, -0.99234], [-0.86476, -0.80900, 0.01023], [-1.66152, -1.87854, 0.71044], [0.48342, -1.44522, -0.37729], [1.58945, -1.07179, 0.22248], [2.81804, -1.74360, 0.20086], [2.88068, -2.84078, -0.71673], [1.73644, -3.11948, -1.49966], [0.53954, -2.48013, -1.25669], [1.45037, 2.66329, 1.19435], [0.62161, 1.52266, 2.19918], [-0.17373, 2.92533, 1.88593], [-1.54333, 3.05660, -0.22268], [-0.11452, 3.87622, -0.49329], [-0.77897, 2.69708, -1.69910], [1.83155, 1.94718, -0.85539], [0.84671, 1.01398, -1.61309], [-2.50541, 2.03283, 1.05944], [-1.48879, 1.21464, 2.27718], [-2.88759, 0.46143, 1.67193], [-2.57534, -0.16204, -1.11928], [-0.99698, 0.25341, -1.81267], [-2.81482, -1.73897, 0.44851], [-1.66647, -1.78728, 1.71664], [-1.17840, -2.77291, 0.48092], [1.41212, -0.31699, 1.06793], [3.60195, -1.21865, 0.66840], [3.76867, -3.50019, -0.82296], [1.69406, -3.93611, -2.17135], [-0.34555, -2.59903, -1.95047]], "gap_ev": 8.794, "total_energy_ha": -617.14002, "total_charge": 1, "relative_energy_kj_mol": 348.55}

***

(3)